The removal of Edward Colston’s statue and the decision by Bristol City Council not to reinstate it leaves the question of whether anything should go in its place. Recent events in China and Russia have given me an idea.
- - -
No. 1
ORCA calculation (the ωB97M-V functional and the def2-TZVPD basis) on a cluster of 4 separate species, C26H45N3O6 in total in a non-equilibrium geometry.

```
80
Properties=species:S:1:pos:R:3:forces:R:3
C 2.32897 1.45039 0.66428 -0.42 0.45 -0.55
C 1.10482 2.33944 0.42416 0.44 0.17 0.32
O 0.67500 3.08595 1.27364 -0.04 -0.52 -0.54
N 0.47257 2.19878 -0.86675 0.10 0.02 0.64
C -0.44687 1.02601 -0.73655 0.44 0.37 -0.43
C -1.27386 0.75670 -2.00785 -0.13 -0.72 0.58
C -2.77190 0.48023 -1.64934 0.55 -0.38 -0.96
C -3.80366 1.15326 -2.60029 0.55 0.17 0.44
C -4.44835 2.41750 -2.04178 0.08 -1.00 -0.70
C -5.78192 2.43566 -1.75763 -1.06 0.56 -0.19
C -6.74126 1.28455 -1.93802 -0.04 -1.23 2.02
C -6.68074 0.28605 -0.70811 1.94 2.05 0.58
C -5.76221 0.75110 0.46390 1.78 -3.62 -1.22
O -5.49047 -0.39154 -0.55688 -1.02 -0.54 -0.82
C -6.35977 3.64701 -1.27529 -0.37 -0.90 -0.24
C -5.62258 4.75161 -1.10525 -0.02 1.22 0.47
C -4.23814 4.76510 -1.36733 -1.16 0.52 0.39
N -3.56027 5.93765 -1.15804 0.58 -1.12 -0.29
C -2.30520 5.79917 -1.43210 0.59 1.17 0.16
O -1.50451 6.89516 -1.22212 -0.28 -0.13 -0.31
C -1.67938 4.61814 -1.92926 0.06 -0.11 -0.13
N -2.34381 3.53081 -2.15835 -0.05 0.45 0.12
C -3.67223 3.59194 -1.84759 0.49 -0.63 -0.25
H 2.56332 1.34566 1.72299 -0.02 0.20 -0.14
H 3.17659 1.90208 0.13156 -0.02 -0.07 0.21
H 2.18142 0.46737 0.21556 0.01 0.12 0.10
H 1.19764 2.00696 -1.55396 -0.09 -0.29 0.04
H 0.13695 0.12730 -0.48546 -0.17 0.10 -0.01
H -1.05557 1.22807 0.14585 -0.17 0.04 -0.32
H -0.87168 -0.17007 -2.44224 -0.09 0.20 -0.06
H -1.15251 1.52429 -2.77155 -0.10 0.16 0.38
H -2.89817 -0.60161 -1.77747 -0.20 0.17 0.24
H -2.94715 0.67565 -0.58933 -0.12 0.21 -0.17
H -3.27987 1.37068 -3.54068 -0.16 0.10 0.14
H -4.56561 0.40702 -2.81825 -0.03 0.25 0.00
H -6.54738 0.67562 -2.82111 -0.35 0.23 -0.12
H -7.77730 1.62131 -1.84235 0.13 0.26 -0.79
H -7.60456 -0.21590 -0.42168 0.12 -0.09 -0.11
H -5.58492 0.05807 1.29285 -1.40 1.01 0.87
H -4.78493 1.18680 0.26542 -0.91 1.76 0.21
H -7.42411 3.70171 -1.06120 0.10 -0.18 -0.05
H -6.10305 5.66208 -0.75720 0.25 -0.02 -0.02
H -0.93308 6.98559 -1.99343 0.22 0.03 0.22
H -0.60906 4.63329 -2.12723 -0.11 -0.08 0.07
C -2.68827 -0.79027 3.51168 -0.19 0.09 -0.09
C -1.92010 -1.47689 2.39261 0.30 0.08 0.59
C -1.12063 -2.66062 2.91578 0.04 -0.15 -0.18
O -1.04113 -0.54091 1.76866 -0.15 -0.15 -0.20
H -2.00206 -0.40249 4.26979 0.03 -0.10 0.02
H -3.24987 0.06111 3.12371 -0.02 -0.04 -0.03
H -3.38544 -1.47809 3.99332 0.02 0.01 0.02
H -2.61682 -1.81584 1.62392 0.09 0.12 -0.13
H -0.38436 -2.33188 3.65552 -0.10 0.04 0.07
H -0.56897 -3.13781 2.10432 -0.06 -0.01 -0.02
H -1.77071 -3.40400 3.37995 0.03 0.01 0.03
H -0.41721 -0.22934 2.43431 -0.06 0.05 0.03
C 4.45753 -3.15516 2.09845 0.00 -0.16 -0.11
C 4.69511 -1.71938 1.66062 -0.25 -0.15 0.56
C 5.28100 -0.88498 2.78905 0.08 0.17 -0.08
O 3.46036 -1.14029 1.22770 0.26 -0.13 -0.25
H 3.74359 -3.19609 2.92748 0.07 0.10 0.06
H 4.02939 -3.73793 1.28159 0.08 0.02 -0.04
H 5.38628 -3.63035 2.41499 -0.01 -0.01 -0.02
- - -
As those country’s rulers try to erase their past by removing memorials and banning remembrance organisations the world needs some means of ensuring past atrocities are not forgotten, as without such memory we shall be doomed to repeat those mistakes.
It occurs to me this harmonises with the issue of the empty plinth in Bristol City Centre, for Colston was removed by people who saw him as an oppressor. What could be more fitting than to replace him with a memorial to the victims of oppression in all its forms throughout the ages. It could stand as a witness to human brutality and suffering and the need to avoid oppression and protect everyone irrespective of the who and why behind their suffering.
Of course, a monument to “all victims of oppression” without illustration or example would be too bland and ambiguous to carry any weight. However, it would be difficult to name every group or every oppressor on a single memorial. Yet, the list must be comprehensive enough not to be a partisan list of one person or group’s favoured causes.
Moreover, it needs to be able to accommodate future victims as new forms of oppression emerge, so perhaps an extensible design is warranted to allow names or classes to be added with the passage of time.
Examples of forms and causes of oppression could include:
Intolerance not listed above
Victims could include:
Ethnic minorities
Indigenous people
Cultural minorities
All others not mentioned above
It should be clear the examples are not exhaustive but the ability to add more should be provided. That could either be done by putting a generic sculpture on top of the plinth with room for plaques containing the lists to be added on the sides, or by incorporating the words into the sculpture itself but arranging for new limbs or sections to be able to be added to the sculpture as time passes. If plaques were used, perhaps they could be made in a modular design allowing them to be extended when additional information is required. With the present plinth, a generic sculpture would work better simply because its height rules out writing on anything placed on top being accessible to passers by for reading. However, a newer, lower plinth could provide easier access, but easier access could also increase the risk of vandalism or theft.
Records of molecules from another source follow >
/*
{"formula": "C2HNO2", "method": "the ωB97M-V functional and the def2-TZVPD basis", "species": ["C", "C", "N", "O", "O", "H"], "xyz": [[-1.185, -0.010, 1.523], [-0.507, -0.086, 0.544], [1.003, 0.020, -1.277], [2.072, 0.273, -0.884], [0.435, -0.199, -2.273], [-1.818, 0.002, 2.366]], "nbo_charge": [-0.426, 0.149, 0.530, -0.247, -0.248, 0.242], "homo_lumo_gap_ha": [0.365, 0.272], "multiplicity": 3, "fmax_ev_per_a": 1.91, "e_above_lowest_kcal_mol": 92.5}

***
*/
It could be an exciting idea, and it would help the world remember people are always prone to behave badly and often have in the past.